Cloud password spraying - what is it and how can I protect against it?

The use of cloud services brings broad network access to application and management (administration) planes thus enabling access to cloud services from any device at any time. While enhancing collaboration, this brings an increased risk of global access by potential attackers. This is especially true for the management plane as the accounts in question are likely to have higher privileges, and therefore able to do more significant damage to the assets of the organization.

Whilst the use of leaked or reused credentials and passwords are risks that are well understood and must be minimized by the cloud customer, another risk to consider is that of password spraying. Password spraying is the act of ‘spraying’ lists of common or custom crafted passwords against multiple cloud accounts in an organization.

Password spraying differs from brute forcing in that the target is not a single user, but multiple accounts. A simple limited example of password spraying would be to spray the password ‘123456’ which is accepted as one of the most common 'bad' passwords, against all known accounts and email addresses in an organization, to attempt a successful login.

Should the potential attacker be successful, dependent on the privileges granted to the compromised account, examples of their next steps may be to forward all emails to an external address, place themselves in line with email flow, attempt a request to transfer money to a member of the finance team, or gain administrator login credentials to a cloud management console.

In a recent high-profile attack on a large software company, it was publicized that the attackers gained an initial foothold in the organization via a password spraying attack. From here, they were able to move laterally and elevate their privileges. The business impact of a security breach could be fines, a share price drop, reputational effects, data/IP loss, loss of future business and probably a combination of all of these.

How can organizations protect users' accounts from password spraying?

 The following steps should be considered in order to mitigate the probability of password spraying occurring in the first instance and of its impact.

1. Multi-Factor Authentication (MFA)

MFA adds additional factors on top of the traditional username and password pair, for increased security. A factor is an additional piece of information to assist in identifying valid users such as a PIN number, a hardware token or a fingerprint.
This method has been proven to be one of the most effective steps an organization can take in increasing its cloud security posture. It can be implemented as always ‘on’ or enabled outside of known public IP addresses. Organizations may enable MFA as always ‘on’ for administrators and enabled for standard users only when they are connecting from endpoints outside of known locations.

Taking MFA a step further is the use of adaptive MFA. Adaptive MFA brings additional layers of security such as contextual access management to minimize rogue connections. Contextual access management incorporates the use of known IP and geographical locations combined with time and date considerations. If users attempt to connect from unknown countries the connection is refused and logged. Similarly, if a user attempts to connect within a short time frame from geographical locations that are widely separated the connection is refused. Other advanced features that warrant investigation include risk profiling, behavioural analysis, and device profiling.

2. Role Based Access Control (RBAC) and Attribute Based Access Control (ABAC)

In RBAC, users or groups are assigned roles. These roles are either predefined or custom and determine what the user can do to the resource in question.
For example, if ‘OWNER’ access to the ‘CORE SERVERS’ resource group is assigned to the ‘L3 Engineers’ group; these engineers have full administrative access at the cloud management plane level to the servers in this resource group.

ABAC is the next generation of access control. Here, access control is set by policy and allows increased granularity and security and is recommended by the Cloud Security Alliance (CSA) over RBAC due to this. For example, access will be granted to the enterprise payroll WebApp IF the user is in the finance group AND they are a Manager AND they are using a software or hardware MFA token.
By implementing RBAC or ABAC the organization is ensuring that users are only granted the privileges required to fulfil their role and no further.

3. Usernames

Usernames in an organization may map to an email address. Attackers can either gather these manually or use Open Source Intelligence Tools (OSINT), websites, or scripts to automate the process of collection.

Example of targets for OSINT includes company websites, social media (personal and business), and publicly available documents created by the organization (data and metadata).

The attackers may have determined via social media that there is an administrator working for the organization called Joe Bloggs. The username structure of the organization is known to be joeb@[company].com, based on other known emails on the organization’s website. Based on this structure, lists of potential valid emails may be generated using either a list of the known employees or a localized list of common names.

After compromise of a single user, the attacker may be able to enumerate the directory, and therefore all usernames, groups, and applications. Shared/common usernames such as administrator@, or hr@, and service accounts will likely also be considered by the attacker.

Some portals may be two-step, allowing the attacker to first test for valid accounts. If prompted for a password, the attacker will be able to determine that the account is valid. Therefore, the use of non-easily identified usernames should be considered such as prefixing with letters or suffixes combined with special characters would hinder the threat progression.

4. Passwords

The attacker now has a list of potential valid user accounts for the target service and organization. The next step will be to generate a list of likely passwords for use in the password spray attack. The directory service or local cloud database containing the users may have default complexity requirements, including a minimum and maximum password length. This may be taken into consideration when generating potential valid passwords for a password spray attack. The organization may not have modified the platform away from the default configuration.

Credential reuse may also be used as an avenue for investigation. The employees may have reused credentials from their personal user accounts that have been breached and publicly disclosed for their work accounts.

_The article is interrupted by quantum chemistry results_
- - -
ORCA calculation (ωB97M-V/def2-TZVPD) on a structure of composition C72H178N10O32.

For the HOMO-LUMO gap, the calculation gives 7.5 eV. As for the HOMO energy: -13.14 eV. As for the total charge: +4.

Each line ends with the Löwdin charge.
Geometry (Å):
C (7.39, -27.82, 12.07)  -0.104
O (8.09, -27.30, 13.19)  -0.237
C (8.97, -26.18, 12.77)  -0.159
C (8.24, -24.89, 12.47)  -0.152
N (7.51, -24.16, 13.51)  -0.087
H (8.35, -23.10, 14.43)  0.073
H (6.87, -23.60, 12.96)  0.120
C (6.62, -24.97, 14.33)  -0.164
C (6.09, -23.94, 15.37)  -0.203
O (5.19, -24.66, 16.16)  -0.218
C (5.52, -25.70, 17.06)  -0.081
H (8.07, -28.12, 11.22)  0.103
H (6.70, -27.05, 11.73)  0.070
H (6.84, -28.74, 12.36)  0.106
H (9.34, -26.58, 11.83)  0.102
H (9.76, -26.23, 13.45)  0.071
H (7.45, -25.12, 11.72)  0.127
H (9.00, -24.31, 11.95)  0.117
H (7.17, -25.77, 14.80)  0.115
H (5.74, -25.39, 13.74)  0.167
H (5.47, -23.23, 14.82)  0.129
H (6.84, -23.44, 16.08)  0.132
H (4.64, -25.76, 17.70)  0.096
H (6.39, -25.54, 17.59)  0.055
H (5.58, -26.68, 16.51)  0.107
C (16.71, -16.07, 9.99)  -0.082
O (16.63, -17.50, 10.14)  -0.219
C (16.44, -17.94, 11.50)  -0.178
C (16.77, -19.47, 11.52)  -0.060
N (15.66, -20.50, 11.14)  0.040
H (16.39, -21.30, 10.88)  0.111
H (15.22, -20.85, 11.97)  0.104
C (14.72, -20.09, 10.10)  -0.110
C (13.64, -21.18, 9.89)  -0.174
O (12.93, -21.53, 11.08)  -0.173
C (11.98, -22.58, 10.90)  -0.098
H (16.37, -15.79, 8.96)  0.106
H (17.72, -15.71, 10.24)  0.094
H (16.01, -15.59, 10.63)  0.069
H (15.38, -17.79, 11.84)  0.131
H (17.14, -17.37, 12.10)  0.118
H (17.09, -19.84, 12.50)  0.126
H (17.54, -19.67, 10.80)  0.089
H (15.24, -20.08, 9.14)  0.136
H (14.35, -19.11, 10.32)  0.119
H (14.21, -22.04, 9.51)  0.116
H (12.95, -20.89, 9.11)  0.125
H (12.44, -23.55, 10.84)  0.054
H (11.40, -22.50, 9.97)  0.105
H (11.38, -22.61, 11.80)  0.072
C (20.75, -22.90, 5.03)  -0.034
O (21.63, -23.12, 6.18)  -0.220
C (20.89, -22.86, 7.42)  -0.185
C (21.81, -22.88, 8.60)  -0.102
N (23.20, -23.09, 8.13)  0.038
H (23.69, -23.69, 8.82)  0.193
H (23.13, -23.65, 7.29)  0.155
C (23.94, -21.90, 7.75)  -0.066
C (24.45, -21.23, 9.06)  -0.238
O (25.15, -22.08, 9.90)  -0.158
C (25.63, -21.34, 11.05)  -0.048
H (20.51, -23.88, 4.58)  0.102
H (21.28, -22.26, 4.29)  0.101
H (19.87, -22.34, 5.34)  0.079
H (20.09, -23.61, 7.52)  0.128
H (20.34, -21.94, 7.41)  0.091
H (21.62, -23.65, 9.32)  0.130
H (21.71, -21.99, 9.15)  0.084
H (23.19, -21.32, 7.18)  0.144
H (24.76, -22.14, 7.08)  0.144
H (23.55, -20.84, 9.53)  0.092
H (24.97, -20.35, 8.77)  0.125
H (25.93, -22.04, 11.79)  0.080
H (24.85, -20.66, 11.44)  0.096
H (26.46, -20.71, 10.76)  0.092
C (12.13, -25.48, 15.41)  -0.046
O (12.91, -24.38, 14.85)  -0.203
C (12.92, -24.26, 13.46)  -0.218
C (14.21, -24.82, 12.91)  -0.163
N (15.40, -24.23, 13.45)  0.012
H (15.47, -22.85, 13.43)  0.144
H (15.45, -24.47, 14.38)  0.115
C (16.53, -24.80, 12.69)  -0.131
C (17.87, -24.35, 13.23)  -0.240
O (18.12, -24.63, 14.55)  -0.179
C (18.78, -25.83, 14.69)  -0.131
- - -

Common passwords are published online and included in penetration testing distributions of Linux. The attacker could utilize these as a base, also creating a customised list of potential passwords geared towards the organization, incorporating keywords scraped from public resources using OSINT tools.

It is recommended to investigate the possibility of implementing a banned password list, should your directory service include this feature, to reduce the risk of users setting easily guessed passwords that include strings related to the organization, locality or common/leaked passwords. Increased password complexity and more importantly password length will increase the entropy or strength of the password thus minimizing the probability that it can be cracked.

5. Lockout policy

Directory services may have a default account lockout policy. The service may lock the account for a set number of minutes after several failed attempts at login. Based on this knowledge, the attacker could set an appropriate time delay between each group of attempted logins to bypass this. Increasing the lockout duration combined with reducing the number of allowable failed attempts improves the resiliency of this feature.

6. Legacy clients, browsers and protocols

Attackers may be able to bypass MFA in certain situations due to legacy protocols not supporting MFA. Internet Message Access Protocol (IMAP) access is an example of this. Legacy clients, browsers and protocols should be reviewed with the intention of modernizing them, to reduce the risk of this attack. Full investigation and planning followed by phased testing and service modernization are highly recommended, to avoid breaking production services that rely on legacy protocols.

7. Monitoring of admin and user accounts

It is crucial that organizations regularly review their cloud management plane and directory service audit logs for both admin and user account activity. Scheduled reporting sent to email distribution lists, alerting, Security Information and Event Management (SIEM) integration, and event-driven security are all strongly recommended. Integration with a SIEM will allow the organization to correlate events with information from multiple feeds and logging systems. Some platforms and solutions also provide behavioural analytics and machine learning, and integration with partner threat intelligence feeds.

Monitoring will allow visibility into password spraying attacks in progress and allow for manual or automated remediation. Automating this remediation with event driven security will greatly improve the ability to combat such threats in a sustainable manner.

Native audit logging tools on the cloud platform management plane can be used in the above is not available, to augment these tools or in the planning stages.

Recommendations to counter the threat of password spraying attacks:

  • Implement MFA
  • Consider ABAC over RBAC
  • Implement a banned password list
  • Use a strong password complexity policy
  • Strengthen your account lockout policy
  • Investigate legacy protocol and service modernization
  • Monitor your admin and user accounts for unusual activity

Due to the broad network access characteristic of cloud services, identity management requires even more focus than with traditional on-premises network security as by default both admin and standard user accounts are accessible from any location in the world, should the requesting party have a valid username and password. It is important to stay up to date on the security capabilities of your cloud applications, platforms, and identity providers, along with the following security best practice. It’s imperative that this exercise is incorporated into security operations to ensure day to day threats are minimized and not undertaken on a scheduled basis as the threat landscape is constantly shifting.